Bright lights against the dark blue sky, all eyes focused on the smiling teenagers dressed in uniforms, waving their arms and shouting catchy rhymes. Standing in front of the field, cheering for the success of the football players, braving the weather in short skirts and lightweight clothing, the smell of hotdogs and nachos filling the air. One cheerleader in particular stands out: David Hoang (11). He is one of two male cheerleaders on Franklin’s cheer team.
Hoang has been part of the cheer team since June 2017. Originally developed by men, cheer eventually evolved into the female-dominated sport it is known as today. Despite having a lack of background in athletics, knowing his weakness with time commitment, and difficulties concerning finance, Hoang was determined to join the team. Watching the cheerleaders perform at school assemblies and sports games with their dazzling, bright smiles and contagious enthusiasm projected to the crowds, all while kicking and jumping in the air, was more than enough to reinforce Hoang’s passion towards trying out. “I wanted to inspire others to do whatever they wanted without caring what others thought of them, especially things that they were not used to doing,” says Hoang.
To Hoang, the idea of being the only other male cheerleader, aside from his teammate Irvin Torres (12), fueled his desire to defy stereotypes and assumptions concerning cheerleaders. “Nothing should have labels,” says Hoang. “Break the rules and become the odd one out.” When cheerleading, the moments that impact him the most are when the crowd cheers along with him and his teammates. The overwhelmingly loud sounds of clapping and cries of support are the moments that Hoang cherishes the most. “Cheer is a sport that involves the cheerleaders, the players, and the entire audience,” he says.
Quantum chemistry results, kept here for reference:
+++
No. 1
The following is a DFT calculation (wB97M-V/def2-TZVPD) of 5 unconnected molecules or ions with the total composition C23H35BO15P2S in a non-equilibrium geometry.

Computed properties:
Spin multiplicity   1
LUMO energy   -1.0445 eV
Frontier orbital gap   6.8977 eV
Max |F|   0.0206 Eh/bohr
SMILES string   Cc1ccc(C(C)C)c(OCB([PH2]=S)P(O)O)c1.O=C1OCCO1.O=C1OCCO1.O=C1OCCO1.O=C1OCCO1

The geometry in XYZ format:
```
77
C23H35BO15P2S (wB97M-V/def2-TZVPD)
S 1.238 -1.803 4.760
P -2.821 -2.133 1.908
P -0.561 -1.345 4.137
O 2.457 -6.962 0.238
O -1.784 3.860 1.194
O -0.519 -5.275 -4.635
O -4.795 7.599 -1.059
O 0.646 -1.685 0.661
O -3.849 9.435 -0.161
O -0.385 5.083 -0.078
O 2.543 -5.093 -0.957
O -2.901 -2.739 0.383
O 3.765 -5.260 0.921
O 0.492 -6.300 -6.327
O -2.511 5.742 0.258
O 0.554 -7.218 -4.272
O -2.772 8.308 -1.743
O -3.394 -0.604 1.792
C -3.894 8.372 -0.998
C 4.294 -0.124 1.837
C -0.271 -5.240 -6.915
C 1.828 -1.100 1.101
C 5.307 -2.447 1.833
C 1.945 0.283 1.290
C 2.999 -5.730 0.141
C 0.868 1.357 1.106
C -3.676 5.107 0.795
C -0.542 0.860 0.807
C -2.024 9.510 -1.549
C 1.815 -6.034 -1.761
C 4.154 -1.499 1.648
C 0.094 -2.737 1.453
C 0.209 -6.352 -5.009
C -1.456 4.917 0.406
C -2.526 9.980 -0.196
C -3.070 4.122 1.777
C 2.910 -1.957 1.264
C 3.222 0.724 1.657
C -0.539 -4.340 -5.721
C 1.410 -7.075 -0.737
C 0.838 2.237 2.368
B -1.008 -2.082 2.391
H 0.304 -4.763 -7.703
H -2.786 -0.035 1.296
H -0.960 9.292 -1.572
H 1.372 -8.084 -1.134
H 2.751 -3.015 1.086
H 0.740 1.607 3.257
H -1.570 -1.836 4.983
H -0.841 0.033 4.088
H -2.270 10.210 -2.350
H -4.211 4.617 -0.019
H -2.566 11.061 -0.093
H -4.326 5.846 1.253
H 2.482 -6.440 -2.521
H 5.549 -2.518 2.897
H 5.258 0.285 2.119
H -0.529 0.203 -0.063
H 0.975 -5.548 -2.243
H -3.034 -2.050 -0.280
H 1.179 2.013 0.286
H -1.499 -3.835 -5.758
H -2.920 4.552 2.768
H 1.739 2.840 2.467
H 0.006 2.939 2.330
H 6.189 -2.083 1.306
H -1.160 1.719 0.534
H -1.186 -5.660 -7.335
H -0.389 -3.431 0.760
H -1.001 0.374 1.670
H 3.388 1.787 1.790
H 0.845 -3.306 2.007
H 0.460 -6.838 -0.255
H -3.632 3.195 1.866
H 5.047 -3.447 1.491
H 0.254 -3.607 -5.565
H -1.951 9.557 0.629
```

No. 2
The following is a DFT calculation (wB97M-V/def2-TZVPD) of a molecular structure, C17H34O2P2Pb in a non-equilibrium geometry.

Computed properties:
Spin multiplicity   1
LUMO energy   -0.2671 eV
Frontier orbital gap   6.6134 eV
Energy above the lowest of the compared OMol25 structures with the same formula, charge and spin   0.0 kJ/mol
Max |F|   0.0552 Eh/bohr

The geometry in XYZ format:
```
56
C17H34O2P2Pb (wB97M-V/def2-TZVPD)
Pb 1.241 0.004 -0.579
P -0.138 2.396 -2.237
P -0.162 -2.130 -2.079
O -0.793 0.708 0.231
O -2.517 2.123 0.376
C -0.720 1.803 -5.789
C 1.829 -0.307 -6.720
C -0.739 -0.462 -2.810
C 1.311 1.102 -7.089
C -1.921 2.565 -2.681
C 0.735 3.619 -3.306
C -1.158 -0.504 -6.841
C 0.276 0.680 -3.038
C -1.413 1.610 2.387
C 1.508 -2.570 -2.765
C -0.313 -1.134 -5.755
C 0.618 1.822 -5.982
C 1.027 -1.013 -5.663
C -1.655 0.927 -6.573
C 0.408 -1.928 0.552
+++
Back to the entry:
As with any sport, struggles and difficulties are bound to be present in the life of an athlete. Hoang discovered the harsh reality of being a male cheerleader in an environment in which it is deemed as “unusual” or “weird” to be one. Although Hoang did not receive as much of a negative response as he had anticipated, he didn’t receive as many positive responses either. “Obviously there are homophobic, sexual, or other negative thoughts that go through people’s minds when they see me,” states Hoang. Getting used to the idea of staying late after school and fully committing to cheer was not only hard for Hoang to accept, but his parents as well. “Coming from a strict family, it was hard for my parents to have to pick me up at 10 p.m. after games, with me staying at school for sometimes 13 hours,” said Hoang. The cheer team also faces neglect and challenges when it comes to being recognized as an actual sports team. “We don’t have an official practice space in the new facility and are constantly left out in athletic categories such as weekly announcements and the school newspaper.”
Molecular data from another source follow:
-- begin --
9 unconnected molecules or ions with the total composition H18O9, computed with the ωB97M-V functional and the def2-TZVPD basis.

HOMO in eV: -9.97
SMILES string: O.O.O.O.O.O.O.O.O

CARTESIAN COORDINATES (ANGSTROEM)
O: -1.85407 8.01438 -18.83312
O: 4.38190 5.98293 -16.44618
O: 2.26323 4.14570 -20.56699
O: 0.85084 7.58650 -17.33530
O: 2.85074 6.40453 -14.06193
O: 0.55034 5.34773 -15.67616
O: -2.37011 8.64629 -15.89361
O: 2.66531 6.78270 -19.44948
O: 0.86823 8.71233 -14.15661
H: 2.09644 7.13356 -20.14508
H: 3.50682 7.23307 -19.58475
H: 1.21852 6.94495 -17.96449
H: -0.34125 5.21054 -15.33952
H: 2.41175 6.47420 -13.20964
H: 3.21231 4.09352 -20.42444
H: 2.12976 6.28473 -14.69100
H: 1.00442 8.37082 -15.04701
H: 0.15388 8.03998 -17.82826
H: 0.47003 6.13706 -16.24447
H: 3.94115 6.29591 -17.24212
H: -2.11786 8.77617 -19.36127
H: 1.99839 4.93831 -20.08874
H: 4.20435 5.03749 -16.42038
H: -2.68714 9.36210 -16.45033
H: -1.67556 8.23161 -16.41215
H: 0.14920 8.18540 -13.79556
H: -1.49571 7.38832 -19.47199

Cartesian forces (eV/Å) of the 6 atoms listed first:
O 0.36 0.07 -0.09
O 0.12 0.03 -0.36
O -0.21 -0.10 -0.13
O -0.23 -0.18 -0.15
O 0.16 -0.12 0.19
O -0.20 0.30 -0.20


# 1
The following is a DFT calculation (wB97M-V/def2-TZVPD) of a molecular structure, C52H44IN10S4Sn.

Values from the calculation:
Gap between HOMO and LUMO = 7.0 eV
DFT total energy = -4659.850322 a.u.
Net charge = +1
Energy relative to the best compared isomer or geometry (same formula, charge and spin) = 0.00 kcal/mol

Structure (XYZ):
```
112
Properties=species:S:1:pos:R:3:forces:R:3
Sn -0.476 -0.610 -0.211 -0.2 -0.1 0.0
N -4.220 2.011 -1.453 0.0 0.1 0.0
C -3.191 1.423 -0.793 0.0 0.0 -0.1
S -1.778 1.091 -1.761 0.1 0.1 0.1
N -3.392 1.232 0.481 0.0 -0.1 0.1
N -2.363 0.635 1.157 0.0 0.0 0.0
C -2.518 0.556 2.430 0.1 -0.1 0.1
C -3.698 1.093 3.158 0.0 0.0 0.0
C -3.963 2.458 3.178 0.0 0.0 0.0
C -5.046 2.949 3.889 0.0 0.0 0.0
C -5.883 2.077 4.573 0.0 0.0 0.0
C -5.627 0.715 4.553 0.0 0.0 0.0
C -4.532 0.225 3.855 0.0 0.0 0.0
C -1.451 -0.111 3.225 0.0 0.1 -0.1
C -1.393 0.022 4.612 0.0 0.0 0.0
C -0.372 -0.612 5.301 0.0 0.0 0.0
C 0.561 -1.354 4.595 0.0 0.0 0.0
C 0.427 -1.425 3.217 0.0 0.0 0.0
N -0.549 -0.824 2.553 0.0 0.0 0.1
H -4.200 2.049 -2.455 0.0 0.0 0.0
H -5.097 2.100 -0.967 0.0 0.0 0.0
H -3.316 3.132 2.632 0.0 0.0 0.0
H -5.243 4.013 3.904 0.0 0.0 0.0
H -6.734 2.460 5.120 0.0 0.0 0.0
H -6.277 0.031 5.082 0.0 0.0 0.0
H -4.326 -0.838 3.847 0.0 0.0 0.0
H -2.134 0.609 5.134 0.0 0.0 0.0
H -0.307 -0.526 6.378 0.0 0.0 0.0
H 1.371 -1.866 5.095 0.0 0.0 0.0
H 1.129 -1.994 2.615 0.0 0.0 0.0
N 0.823 0.875 0.728 0.0 0.0 -0.1
S 1.508 2.048 1.217 0.0 -0.1 0.0
N 2.804 2.639 0.375 -0.1 0.0 0.1
S 2.658 3.034 -1.117 -0.1 0.0 0.0
N 1.890 2.195 -2.135 0.1 -0.1 -0.2
S 2.021 0.570 -2.514 0.0 0.0 0.1
N 1.080 -0.363 -1.933 -0.1 0.0 0.0
C 3.736 0.182 -2.157 0.0 -0.1 0.1
C 3.900 -0.528 -0.974 0.0 0.0 -0.1
C 5.180 -0.870 -0.566 0.0 0.0 0.0
C 6.276 -0.535 -1.350 0.0 0.0 0.0
C 6.098 0.168 -2.533 0.0 0.0 0.0
-- stop --
To Hoang and his teammates, cheer is a serious commitment filled with both positive and negative moments. The memories created, the friendships made, and the opportunity for Franklin to see the creative talent the cheer team has to offer, are just a few of the many reasons Hoang decided to try out for the team. Willingness to face his fears and look doubt straight in the eye helped Hoang to grow and advance as a person. Challenging his inner weakness and becoming an ambassador for Franklin, Hoang proves that stereotypes concerning gender can easily be tackled no matter what the circumstance might be.